Authentic Lessons for 21st Century Learning

Map It Out

Elements of a Map

Chrissy Waldhoer, Laura Halstied | Published: March 9th, 2022 by Oklahoma Young Scholars/Javits


In this lesson, students examine a map of Oklahoma and complete a scavenger hunt to find objects on the map. Students learn important map-related vocabulary and extend their learning by creating a map of the classroom. Learning is assessed when students answer a reflection question.

Essential Question(s)

What is the purpose of a map?



Examine a map of Oklahoma using the strategy I Notice, I Wonder.


Complete a scavenger hunt using a map of Oklahoma.


Define vocabulary terms using a Vocabulary Foldable Map.


Create a map of the classroom.


Reflect on the lesson content by using the strategy What Did I Learn Today?


  • Lesson Slides (attached)

  • Map of Oklahoma (attached, one per pair of students)

  • Vocabulary Foldable Map (attached, one per student)

  • Blank copy paper (one per student)

  • Notebook paper (one per student)

  • Sticky Notes (several per student)

  • Colored pencils or crayons

  • Scissors

  • Glue or glue sticks


15 Minute(s)

Use the attached Lesson Slides to guide the lesson. Place students in pairs and pass out the attached JAVITS OK Map-Map It Out handout to each pair of students. Display slide 3 to introduce the Essential Question, "What is the purpose of a map?" and slide 4 that introduces the Lesson Objective: "Explain the elements of a map."

Show slide 5. Introduce students to the I Notice, I Wonder strategy. Explain to students that, as they view the map on slide 6, they should think about two things they notice and two things they wonder about the map.

Move to slide 6. Provide time for students to examine the map. Ask students to talk with their partners about what they notice and wonder. Ask for a few volunteers to share their thoughts about the map.


20 Minute(s)

Move to slide 7. Have students find the items listed in the Map Scavenger Hunt by using the map of Oklahoma handout.

  • Provide time for students to work through each item with a partner.

  • Instruct them to label and mark their answers on the map with sticky notes.

  • Ask for volunteers to share with the class information they have located on the map, correcting misconceptions as needed.


30 Minute(s)

Pass out the attached Vocabulary Foldable handout to each student. Use slide 8 and slide 9 to provide the vocabulary definitions for students, or if possible, let students look up the definitions in a social studies textbook or online using personal devices.

Have students go to slide 10 for instructions to plan activity. After students have defined the vocabulary words individually, have them look at the Map of Oklahoma again, and find each of the vocabulary words on the map.

Use this time to further explain the importance of the key, scale, and compass rose. Explain to students that many compass roses do not list all four cardinal directions, only north.

Teach students an acronym to remember the cardinal directions, such as, "Never Eat Soggy Watermelon." Explain to students that intermediate directions go between the cardinal directions. Have students create their own compass rose with cardinal and intermediate directions on the Vocabulary Foldable.


30 Minute(s)

Move to slide 10. Pass out a piece of blank copy paper to each student. Ask students to create a map of the classroom and include the information listed on the slide. Consider having students create a rough copy on a piece of notebook paper before creating their final map on copy paper.

Encourage students to use colored pencils or crayons. Remind students to use symbols to represent classroom objects and to list the symbols in the key.

Consider creating a scale for the map as a class by designating the distance as ΒΌ inch = 1 foot. Provide time for students to create a map of the classroom individually and then have students compare their maps with a partner.


5 Minute(s)

********
1.
An optimized crystal structure of Pm3Mg7Pt4, computed with PBE.

Cell: 8.402 8.402 10.524 Å, 122.68 122.68 29.65°
Element x y z (fractional)
Pm 0.000 0.000 0.000
Pm 0.304 0.304 0.287
Pm 0.696 0.696 0.713
Mg 0.000 0.000 0.500
Mg 0.170 0.170 0.431
Mg 0.320 0.320 0.987
Mg 0.486 0.486 0.705
Mg 0.514 0.514 0.295
Mg 0.680 0.680 0.013
Mg 0.830 0.830 0.569
Pt 0.110 0.110 0.820
Pt 0.336 0.336 0.741
Pt 0.664 0.664 0.259
Pt 0.890 0.890 0.180

Calculated values
- calculated volume (Å³ per atom) = 21.78
- spin magnetization (μB per atom) = 0.00
- symmetry = C2/m
- DFT formation energy (eV per atom) = -0.7247

=====

2.
An optimized crystal structure of Pm2MgPt9, computed with PBE.

Cell: 9.418 9.418 9.418 Å, 33.48 33.48 33.48°
Element x y z (fractional)
Pm 0.137 0.137 0.137
Pm 0.863 0.863 0.863
Mg 0.000 0.000 0.000
Pt 0.080 0.586 0.586
Pt 0.333 0.333 0.333
Pt 0.414 0.414 0.920
Pt 0.414 0.920 0.414
Pt 0.500 0.500 0.500
Pt 0.586 0.080 0.586
Pt 0.586 0.586 0.080
Pt 0.667 0.667 0.667
Pt 0.920 0.414 0.414

Calculated values
- calculated volume (Å³ per atom) = 18.87
- spin magnetization (μB per atom) = 0.00
- symmetry = R-3m
- DFT formation energy (eV per atom) = -0.7198

=====

3.
An optimized crystal structure of PmMgPt, computed with PBE.

Cell: 8.565 7.359 7.198 Å, 72.08 54.83 53.09°
Element x y z (fractional)
Pm 0.000 0.000 0.000
Pm 0.000 0.000 0.500
Pm 0.000 0.500 0.000
Pm 0.500 0.000 0.000
Mg 0.249 0.249 0.501
Mg 0.499 0.499 0.751
Mg 0.501 0.501 0.249
Mg 0.751 0.751 0.499
Pt 0.189 0.561 0.189
Pt 0.439 0.811 0.439
Pt 0.561 0.189 0.561
Pt 0.811 0.439 0.811

Calculated values
- calculated volume (Å³ per atom) = 24.67
- spin magnetization (μB per atom) = 0.00
- symmetry = Fddd
- DFT formation energy (eV per atom) = -0.6534
- energy above the lowest structure with this stoichiometry (eV/atom) = 0.259

=====

4.
An optimized crystal structure of PmMg3Pt2, computed with PBE.

Cell: 8.597 8.597 8.879 Å, 120.45 120.45 27.55°
Element x y z (fractional)
Pm 0.133 0.133 0.175
Pm 0.867 0.867 0.825
Mg 0.034 0.034 0.692
Mg 0.321 0.321 0.098
Mg 0.369 0.369 0.499
Mg 0.631 0.631 0.501
Mg 0.679 0.679 0.902
Mg 0.966 0.966 0.308
Pt 0.210 0.210 0.734
Pt 0.496 0.496 0.151
Pt 0.504 0.504 0.849
Pt 0.790 0.790 0.266

Calculated values
- calculated volume (Å³ per atom) = 21.57
- spin magnetization (μB per atom) = 0.00
- symmetry = C2/m
- DFT formation energy (eV per atom) = -0.7562

=====

5.
An optimized crystal structure of Pm8Mg2Pt, computed with PBE.

Cell: 9.419 9.419 7.183 Å, 109.00 109.00 34.22°
Element x y z (fractional)
Pm 0.014 0.014 0.279
Pm 0.198 0.198 0.766
Pm 0.349 0.349 0.563
Pm 0.403 0.403 0.083
Pm 0.597 0.597 0.917
Pm 0.651 0.651 0.437
Pm 0.802 0.802 0.234
Pm 0.986 0.986 0.721
Mg 0.182 0.182 0.195
Mg 0.818 0.818 0.805
Pt 0.500 0.500 0.500

Calculated values
- calculated volume (Å³ per atom) = 30.63
- spin magnetization (μB per atom) = 0.00
- symmetry = C2/m
- DFT formation energy (eV per atom) = -0.1763

=====

6.
********

Display slide 11. Provide each student with a sticky note or use notebook paper. Using the What Did I Learn Today? strategy, ask students to write a short summary of the information they have learned during the lesson. Collect the sticky notes or notebook paper as well as the student-created classroom maps to assess student understanding of the lesson content.
